You can not select more than 25 topics Topics must start with a letter or number, can include dashes ('-') and can be up to 35 characters long.

169 lines
4.9 KiB

4 years ago
  1. #!/bin/bash
  2. # Variables
  3. blog_dir=~/repos/blog-cms
  4. check() {
  5. if [ "$EUID" -ne 0 ]
  6. then
  7. echo "Please run as root"
  8. exit
  9. fi
  10. }
  11. confirm() {
  12. confirmvar=""
  13. while [[ "$confirmvar" == "" ]]
  14. do
  15. read -p "y/n/q: " confirmvar
  16. if [ "${confirmvar}" == "y" ]
  17. then
  18. echo true
  19. elif [ "${confirmvar}" == "n" ]
  20. then
  21. echo false
  22. fi
  23. done
  24. }
  25. newpost() {
  26. c=false
  27. while [[ ${c} == false ]]
  28. do
  29. read -p "Title: " title
  30. echo -e "Subject 1:\n\t0 - no subject\n\t1 - Programming\n\t2 - Pentesting\n\t3 - Personal"
  31. sub1=$(subjectselect)
  32. echo -e "Subject 1:\n\t0 - no subject\n\t1 - Programming\n\t2 - Pentesting\n\t3 - Personal"
  33. sub2=$(subjectselect)
  34. echo -e "Title: ${title}\nSubject 1: ${sub1}\nSubject 2: ${sub2}\n\nAre you sure?\n"
  35. c=$(confirm)
  36. done
  37. dirname=$(echo ${title} | sed 's/\ /_/g')
  38. mkdir -p ${blog_dir}/posts/${dirname}/static
  39. cd ${blog_dir}/posts/${dirname}
  40. echo ${title} >> title
  41. echo ${sub1} >> .sub1
  42. echo ${sub2} >> .sub2
  43. touch {intro.html,body.html}
  44. pwd
  45. ls -al
  46. }
  47. subjectselect() {
  48. read -p "0/1/2/3: " tmpvar
  49. if [ "$tmpvar" == "1" ]
  50. then
  51. echo "Programming"
  52. elif [ "$tmpvar" == "2" ]
  53. then
  54. echo "Pentesting"
  55. elif [ "$tmpvar" == "3" ]
  56. then
  57. echo "Personal"
  58. elif [ "$tmpvar" == "0" ]
  59. then
  60. echo ""
  61. fi
  62. }
  63. listandReturn() { printf "Listing contents of %s.\\n" "$1"
  64. ls -rc "$1" | awk -F '/' '{print $NF}' | nl
  65. read -erp "Pick an entry by number to $2, or press ctrl-c to cancel. " number
  66. chosen="$(ls -rc "$1" | nl | grep -w "$number" | awk '{print $2}')"
  67. basefile="$(basename "$chosen")" && base="${basefile%.*}" ;}
  68. upload() {
  69. #check
  70. listandReturn ${blog_dir}/posts
  71. #cd ${blog_dir}/posts/${basefile}
  72. titlevar=$(cat ${blog_dir}/posts/${basefile}/title)
  73. subvar1=$(cat ${blog_dir}/posts/${basefile}/.sub1)
  74. subvar2=$(cat ${blog_dir}/posts/${basefile}/.sub2)
  75. echo "Add intro pic?"
  76. if [[ $(confirm) == true ]]
  77. then
  78. listandReturn ${blog_dir}/posts/${basefile}/static/
  79. picvar=${basefile}
  80. fi
  81. echo -n Mysql password:
  82. read -s sqlpassword
  83. scp ${blog_dir}/posts/${basefile}/{intro.html,body.html}
  84. scp ${blog_dir}/posts/${basefile}/static/*
  85. if [[ "$picvar" == "" ]]
  86. then
  87. ssh "chown mysql:mysql /var/lib/mysql-files/* &&
  88. chmod go+rw /var/lib/mysql-files/* &&
  89. mysql -u root -p${sqlpassword} -D PersonalWebsite -e \"INSERT INTO Posts (subject,subject2,title,intro,body) VALUES ('${subvar1}', '${subvar2}', '${titlevar}', LOAD_FILE('/var/lib/mysql-files/intro.html'), LOAD_FILE('/var/lib/mysql-files/body.html'));\""
  90. else
  91. ssh "chown mysql:mysql /var/lib/mysql-files/* &&
  92. chmod go+rw /var/lib/mysql-files/* &&
  93. mysql -u root -p${sqlpassword} -D PersonalWebsite -e \"INSERT INTO Posts (subject,subject2,title,pic,intro,body) VALUES ('${subvar1}', '${subvar2}', '${titlevar}', '${picvar}', LOAD_FILE('/var/lib/mysql-files/intro.html'), LOAD_FILE('/var/lib/mysql-files/body.html'));\""
  94. fi
  95. }
  96. preview() {
  97. mkdir -p /tmp/preview
  98. cp -r ${blog_dir}/.preview/* /tmp/preview/
  99. listandReturn ${blog_dir}/posts
  100. title=$(cat ${blog_dir}/posts/${basefile}/title | tr -d '\n')
  101. intro=$(cat ${blog_dir}/posts/${basefile}/intro.html | tr -d '\n')
  102. body=$(cat ${blog_dir}/posts/${basefile}/body.html | tr -d '\n')
  103. cp -r ${blog_dir}/posts/${basefile}/static/ /tmp/preview
  104. sed -i .bak 's|TITLE_PREVIEW|'"${title}"'|g' /tmp/preview/post.html
  105. sed -i .bak 's|INTRO_PREVIEW|'"${intro}"'|g' /tmp/preview/post.html
  106. sed -i .bak 's|BODY_PREVIEW|'"${body}"'|g' /tmp/preview/post.html
  107. if [[ $(uname) == "Linux" ]]; then
  108. firefox /tmp/preview/post.html
  109. else
  110. open -a firefox -g /tmp/preview/post.html
  111. fi
  112. }
  113. deletedraft() {
  114. echo "Which draft would you like to delete?"
  115. listandReturn ${blog_dir}/posts
  116. echo "Are you sure you want to delete \"$(cat ${blog_dir}/posts/${basefile}/title)?\""
Someone pasted records of molecules at this point:
<<<
Record 1
Formula: H3O2PS
Source: the OMol25 dataset
Level of theory: ωB97M-V with the def2-TZVPD basis set

As for the expectation value of S²: 2.005. As for the net charge: 0. The value obtained for the total energy is -24265.7294 eV. The calculation puts the strongest force on any atom at 1.886 eV/Å. As for the spin multiplicity: 3. For the molar mass, the calculation gives 98.06 g/mol. The calculation puts the energy relative to the best compared isomer or geometry (same formula, charge and spin) at 0.0 kcal per mole.

Each line ends with the Löwdin charge.
Geometry (Å):
O -0.265 -1.594 0.725  -0.35
O -1.121 0.594 1.066  -0.35
P 0.304 -0.121 0.956  0.64
S 1.206 0.320 -2.143  0.29
H 0.370 -2.241 0.416  0.04
H -1.126 1.534 1.253  0.04
H 0.631 1.508 -2.274  -0.31


Record 2
Formula: C17H15Cl2
Source: the OMol25 dataset
Level of theory: ωB97M-V with the def2-TZVPD basis set

As for the net charge: +1. The value obtained for the total energy is -42907.8533 eV. The calculation puts the strongest force on any atom at 2.099 eV/Å. For the molar mass, the calculation gives 290.21 g/mol.

Each line ends with the Löwdin charge.
Geometry (Å):
C -1.779 -0.226 2.515  0.08
C -0.529 0.289 2.553  -0.16
C 0.683 -0.481 2.615  -0.10
C 1.978 -0.055 2.817  -0.01
H -2.655 0.429 2.413  0.08
H -1.966 -1.289 2.419  0.07
H -0.426 1.382 2.513  0.12
H 0.533 -1.585 2.491  0.14
H 2.792 -0.738 2.583  0.09
H 2.189 1.000 2.846  0.09
Cl 8.209 1.848 2.493  0.75
C 6.821 1.284 3.330  -0.63
C 6.624 -0.096 3.484  -0.07
C 5.440 -0.541 4.042  0.01
C 4.392 0.372 4.378  -0.20
C 3.099 -0.221 4.699  0.00
C 2.114 0.312 5.615  -0.20
C 1.269 -0.647 6.256  0.00
C 0.157 -0.262 6.959  -0.08
C -0.122 1.109 7.097  -0.64
Cl -1.597 1.604 7.812  0.75
C 0.707 2.099 6.523  -0.07
C 1.840 1.689 5.844  0.00
C 4.668 1.760 4.275  0.00
C 5.846 2.231 3.712  -0.07
H 7.381 -0.782 3.170  0.11
H 5.305 -1.603 4.258  0.13
H 3.069 -1.288 4.592  0.12
H 1.544 -1.706 6.190  0.13
H -0.510 -0.984 7.391  0.11
H 0.448 3.150 6.607  0.12
H 2.521 2.485 5.477  0.10
H 3.942 2.525 4.627  0.10
H 6.012 3.290 3.556  0.12
>>>
  117. c=$(confirm)
  118. if [ ${c} != false ]
  119. then
  120. rm -rf ${blog_dir}/posts/${basefile}
  121. fi
  122. }
  123. deletepost() {
  124. echo -n Mysql password:
  125. read -s sqlpassword
  126. echo -e "\nWhich post would you like to delete?"
  127. ssh "mysql -u root -p${sqlpassword} -D PersonalWebsite -B --disable-column-names -e \"SELECT id,title FROM Posts;\""
  128. read -p "\nWhich post would you like to delete?" post
  129. ssh "mysql -u root -p${sqlpassword} -D PersonalWebsite -e \"DELETE FROM Posts WHERE id=${post};\" && \
  130. post=\$(mysql -B -u root -p${sqlpassword} -D PersonalWebsite --disable-column-names -e \"SELECT MAX(id) FROM Posts;\") && \
  131. mysql -u root -p${sqlpassword} -D PersonalWebsite -e \"ALTER TABLE Posts AUTO_INCREMENT=\$post;\""
  132. }
  133. helpmsg() {
  134. printf "\nBLOG UPLOAD SCRIPT\n\n\tn - new draft\n\tp - preview post\n\tu - upload post\n\tdd - delete draft\n\tdp - delete post\n\th - help message\n\n"
  135. }
  136. case "$1" in
  137. n*) newpost ;;
  138. p*) preview ;;
  139. u*) upload ;;
  140. dd*) deletedraft ;;
  141. dp*) deletepost ;;
  142. h*) helpmsg ;;
  143. *) helpmsg ;;
  144. esac